Die FED möchte eine größere Rolle bei der Regulierung von Stablecoins spielen
• The piece is interrupted by records of crystals:
<<<
TbPr6Nd5 after structural relaxation. Source: Alexandria via LeMat-Bulk, functional PBE.

The uncorrected energy is -57.00 eV/cell. Its formation energy is 0.1 eV/f.u. The total moment is 0.000 Bohr magnetons per cell.

Cell and atoms, written as POSCAR:
```
TbPr6Nd5
1.0
12.123 -1.543 0.000
1.909 6.103 0.000
0.955 3.052 5.539
Pr Nd Tb
6 5 1
Direct
0.249 0.918 0.668
0.249 0.250 0.000
0.751 0.082 0.332
0.751 0.750 0.000
0.751 0.415 0.668
0.249 0.585 0.332
0.000 0.333 0.334
0.500 0.166 0.667
0.500 0.500 0.000
0.000 0.667 0.666
0.500 0.834 0.333
0.000 0.000 0.000
```

----------

Entry 1:
# NdGd2Ga PBE-GGA relaxed
data_NdGd2Ga
_chemical_formula_sum 'Nd1 Gd2 Ga1'
_symmetry_space_group_name_H-M 'P 1'
_symmetry_Int_Tables_number 1
_cell_length_a 4.8226
_cell_length_b 4.7877
_cell_length_c 4.7877
_cell_angle_alpha 90.00
_cell_angle_beta 90.00
_cell_angle_gamma 90.00
loop_
_symmetry_equiv_pos_as_xyz
'x,y,z'
loop_
_atom_site_label
_atom_site_fract_x
_atom_site_fract_y
_atom_site_fract_z
Gd1 0.0000 0.0000 0.5000
Gd2 0.0000 0.5000 0.0000
Nd1 0.5000 0.5000 0.5000
Ga1 0.5000 0.0000 0.0000
# electronic total energy	-9.246	eV per atom

=====

Entry 2:
# Pt2PbBr PBE-GGA relaxed
data_Pt2PbBr
_chemical_formula_sum 'Pt2 Pb1 Br1'
_symmetry_space_group_name_H-M 'P 1'
_symmetry_Int_Tables_number 1
_cell_length_a 4.8492
_cell_length_b 4.8492
_cell_length_c 4.8492
_cell_angle_alpha 60.00
_cell_angle_beta 60.00
_cell_angle_gamma 60.00
loop_
_symmetry_equiv_pos_as_xyz
'x,y,z'
loop_
_atom_site_label
_atom_site_fract_x
_atom_site_fract_y
_atom_site_fract_z
Pb1 0.5000 0.5000 0.5000
Br1 0.0000 0.0000 0.0000
Pt1 0.2500 0.2500 0.2500
Pt2 0.7500 0.7500 0.7500
# formation energy without anion corrections	1.36	eV/f.u.

=====

Entry 3:
# ScAs2PBr PBE-GGA relaxed
data_ScAs2PBr
_chemical_formula_sum 'Sc1 As2 P1 Br1'
_symmetry_space_group_name_H-M 'P 1'
_symmetry_Int_Tables_number 1
_cell_length_a 4.7880
_cell_length_b 4.7880
_cell_length_c 4.9277
_cell_angle_alpha 90.00
_cell_angle_beta 90.00
_cell_angle_gamma 90.00
loop_
_symmetry_equiv_pos_as_xyz
'x,y,z'
loop_
_atom_site_label
_atom_site_fract_x
_atom_site_fract_y
_atom_site_fract_z
Sc1 0.5000 0.5000 0.5000
P1 0.0000 0.0000 0.0000
As1 0.0000 0.5000 0.0000
As2 0.5000 0.0000 0.0000
Br1 0.0000 0.0000 0.5000
# formation energy without anion corrections	1.02	eV/f.u.

=====

Entry 4:
# Th2AgP PBE-GGA relaxed
data_Th2AgP
_chemical_formula_sum 'Th2 Ag1 P1'
_symmetry_space_group_name_H-M 'P 1'
_symmetry_Int_Tables_number 1
_cell_length_a 3.7996
_cell_length_b 3.7996
_cell_length_c 9.8976
_cell_angle_alpha 78.93
_cell_angle_beta 78.93
_cell_angle_gamma 60.00
loop_
_symmetry_equiv_pos_as_xyz
'x,y,z'
loop_
_atom_site_label
_atom_site_fract_x
_atom_site_fract_y
_atom_site_fract_z
P1 0.5000 0.5000 0.5000
Ag1 0.0000 0.0000 0.0000
Th1 0.1067 0.1067 0.6800
Th2 0.8933 0.8933 0.3200
# electronic total energy	-5.996	eV per atom

=====

Entry 5:
# Sm4Ga5Ge6 PBE-GGA relaxed
data_Sm4Ga5Ge6
_chemical_formula_sum 'Sm8 Ga10 Ge12'
>>>
- Jerome Powell glaubt, dass die FED eine große Rolle bei der Regulierung von Stablecoins spielen muss, da sie diese als eine Form des Geldes betrachtet.
- Der von den Republikanern unterstützte Gesetzesentwurf räumt den Staaten enorme Befugnisse zur Regulierung von Stablecoins ein.
Jerome Powell, chairman of the Federal Reserve, spoke in favor of strict central-bank supervision of stablecoin in the policies being developed by members of the House Financial Services Committee. Powell shared his thoughts while speaking at the House Financial Services Committee’s semi-annual Hören zur Fed-Politik am 21. Juni.
The proposed stablecoin bill originated from Republicans and would serve as the official piece of crypto regulation in the United States if approved next month. Rep. Maxine Waters, the committee’s top Democrat, in her questioning of Powell, warned that the Fed would be “severely hamstrung” by the new proposal and that there has to be a clear federal floor for regulation of nonbank stablecoin issuers.
Der von den Republikanern unterstützte Gesetzentwurf soll sicherstellen, dass Staaten eine wichtige Rolle bei der Überwachung von Stablecoins spielen. Dies ist seit Beginn der Verhandlungen im vergangenen Jahr ein Streitthema.
• Materials data, kept here for reference:
=====
Record 1
VASP calculation (PBE) on crystalline GdPPbO at its relaxed geometry.

Cell: 5.561 5.561 5.398 Å, 90.00 90.00 90.00°
Sites, in units of the cell vectors:
Gd 0.250 0.750 0.000
Gd 0.750 0.250 0.000
P 0.250 0.250 0.006
P 0.750 0.750 0.994
Pb 0.250 0.250 0.504
Pb 0.750 0.750 0.496
O 0.250 0.750 0.500
O 0.750 0.250 0.500

Summary:
space group = P4/nmm, No. 129
energy above the lowest structure with this stoichiometry = 1.03 eV per formula unit

Record 2
VASP calculation (PBE) on crystalline ScTl2Hg at its relaxed geometry.

Cell: 5.185 5.185 5.185 Å, 60.00 60.00 60.00°
Sites, in units of the cell vectors:
Sc 0.000 0.000 0.000
Tl 0.500 0.500 0.500
Tl 0.750 0.750 0.750
Hg 0.250 0.250 0.250

Summary:
E = -2.83 eV/atom
space group = F-43m, No. 216

Record 3
VASP calculation (PBE) on crystalline Sm2Er2CCl5 at its relaxed geometry.

Cell: 8.784 8.784 7.769 Å, 104.14 104.14 24.41°
Sites, in units of the cell vectors:
Sm 0.148 0.148 0.086
Sm 0.852 0.852 0.914
Er 0.499 0.499 0.209
Er 0.501 0.501 0.791
C 0.000 0.000 0.000
Cl 0.000 0.000 0.500
Cl 0.333 0.333 0.174
Cl 0.340 0.340 0.645
Cl 0.660 0.660 0.355
Cl 0.667 0.667 0.826

Summary:
E = -5.39 eV/atom
space group = C2/m, No. 12

> Which formula does entry 2 have?

ScTl2Hg

> What is the formula in the first record?

GdPPbO

----------

No. 1
Th2UH | PBE | optimized geometry

Values from the calculation:
- calculated density (Mg/m³) = 13.11
- total energy (eV/atom) = -7.048

Cell and atoms, written as extended XYZ:
```
4
Lattice="3.2895 0.0000 0.0000 1.6447 2.8488 0.0000 1.6447 0.9496 9.5012" Properties=species:S:1:pos:R:3 pbc="T T T"
Th 1.6447 0.9496 6.3625
Th 4.9342 2.8487 3.1387
H 3.2895 1.8992 4.7506
U 0.0000 0.0000 0.0000
```

=====

No. 2
ThVH4 | PBE | optimized geometry

Values from the calculation:
- calculated density (Mg/m³) = 7.93
- total energy (eV/atom) = -5.252

Cell and atoms, written as extended XYZ:
```
12
Lattice="4.4080 -1.5347 0.0000 -2.9068 5.8373 0.0000 -0.7506 -2.1513 5.6543" Properties=species:S:1:pos:R:3 pbc="T T T"
H 3.9760 -1.3838 1.1011
H -2.2061 4.3040 1.9506
H 2.9567 -2.1527 3.7037
H 2.6359 -0.9183 1.1011
H -0.7527 1.3853 3.7037
H -3.2255 3.5351 4.5532
H -1.8853 3.0696 4.5532
H 1.5033 0.7660 1.9506
Th -0.3514 2.5350 1.5790
Th 1.1020 -0.3837 4.0753
V 1.1020 -0.3837 0.6623
V -0.3514 2.5350 4.9920
```

=====

No. 3
ThVH3 | PBE | optimized geometry

Values from the calculation:
- calculated density (Mg/m³) = 9.01
- total energy (eV/atom) = -5.498

Cell and atoms, written as extended XYZ:
```
5
Lattice="-3.1771 -1.1942 1.5915 0.4087 -3.3262 -1.6800 1.9473 -1.2503 2.9492" Properties=species:S:1:pos:R:3 pbc="T T T"
H 0.2043 -1.6631 -0.8400
H -1.5886 -0.5971 0.7958
H 0.9737 -0.6251 1.4746
Th -0.4106 -2.8854 1.4304
V 0.0000 0.0000 0.0000
```

=====

No. 4
Th2VH | PBE | optimized geometry

Values from the calculation:
- calculated density (Mg/m³) = 10.20
- total energy (eV/atom) = -6.349

Cell and atoms, written as extended XYZ:
```
4
=====
Waters warned that the bill would create “58 different licenses with federal regulatory approval over only two of the licenses.” The Democrat added that states, territories, and other jurisdictions will issue the remaining licenses.
Crystal structures, as found in the file:
********
Record 1
The following is a DFT calculation (PBE) of BaCoHSe2 after structural relaxation.

Output
Magnetization: 1.89 μB per cell
Energy relative to the lowest polymorph listed for this composition: 0 meV per atom

The structure in CIF format:
```
data_BaCoHSe2
_chemical_formula_sum 'Ba1 Co1 H1 Se2'
_symmetry_space_group_name_H-M 'P 4/m m m'
_symmetry_Int_Tables_number 123
_symmetry_space_group_name_Hall '-P 4 2'
_cell_length_a 5.011
_cell_length_b 5.011
_cell_length_c 4.080
_cell_angle_alpha 90.00
_cell_angle_beta 90.00
_cell_angle_gamma 90.00
loop_
_atom_site_label
_atom_site_fract_x
_atom_site_fract_y
_atom_site_fract_z
Ba1 0.000 0.000 0.000
Co1 0.500 0.500 0.500
H1 0.500 0.500 0.000
Se1 0.000 0.500 0.500
```

---

Record 2
The following is a DFT calculation (PBE) of BaCoHSe2 after structural relaxation.

Output
Magnetization: 2.02 μB per cell
Energy relative to the lowest polymorph listed for this composition: 386 meV per atom

The structure in CIF format:
```
data_BaCoHSe2
_chemical_formula_sum 'Ba1 Co1 H1 Se2'
_symmetry_space_group_name_H-M 'P 4/m m m'
_symmetry_Int_Tables_number 123
_symmetry_space_group_name_Hall '-P 4 2'
_cell_length_a 5.370
_cell_length_b 5.370
_cell_length_c 3.546
_cell_angle_alpha 90.00
_cell_angle_beta 90.00
_cell_angle_gamma 90.00
loop_
_atom_site_label
_atom_site_fract_x
_atom_site_fract_y
_atom_site_fract_z
Ba1 0.000 0.000 0.000
Co1 0.500 0.500 0.000
H1 0.500 0.500 0.500
Se1 0.000 0.500 0.500
```

---

Record 3
The following is a DFT calculation (PBE) of BaCo2SnH8 after structural relaxation.

Output
VASP energy: -3.85 eV/atom
Magnetization: 0.00 μB per cell

The structure in CIF format:
```
data_BaCo2SnH8
_chemical_formula_sum 'Ba1 Co2 Sn1 H8'
_symmetry_space_group_name_H-M 'P -3'
_symmetry_Int_Tables_number 147
_cell_length_a 4.5061
_cell_length_b 4.5061
_cell_length_c 6.8874
_cell_angle_alpha 90.00
_cell_angle_beta 90.00
_cell_angle_gamma 120.00
loop_
_symmetry_equiv_pos_as_xyz
'x,y,z'
'-x,-y,-z'
'-y,x-y,z'
'y,-x+y,-z'
'-x+y,-x,z'
'x-y,x,-z'
loop_
_atom_site_label
_atom_site_fract_x
_atom_site_fract_y
_atom_site_fract_z
Ba1 0.0000 0.0000 0.0000
Co1 0.3333 0.6667 0.6601
Sn1 0.0000 0.0000 0.5000
H1 0.0375 0.5206 0.2800
H2 0.3333 0.6667 0.8737
```

---

Record 4
The following is a DFT calculation (PBE) of BaSr2CoH8 after structural relaxation.

Output
VASP energy: -3.71 eV/atom
Magnetization: 0.32 μB per cell

The structure in CIF format:
```
data_BaSr2CoH8
_chemical_formula_sum 'Ba1 Sr2 Co1 H8'
_symmetry_space_group_name_H-M 'P -3 m 1'
_symmetry_Int_Tables_number 164
_symmetry_space_group_name_Hall '-P 3 2"'
_cell_length_a 5.0510
_cell_length_b 5.0510
_cell_length_c 7.5235
_cell_angle_alpha 90.00
_cell_angle_beta 90.00
_cell_angle_gamma 120.00
loop_
_atom_site_label
_atom_site_fract_x
_atom_site_fract_y
_atom_site_fract_z
Ba1 0.0000 0.0000 0.0000
Sr1 0.3333 0.6667 0.3571
Co1 0.0000 0.0000 0.5000
H1 0.1478 0.2956 0.6261
H2 0.3333 0.6667 0.0412
```

---

Record 5
********
Here the article continues:
Responding to Waters, Powell claimed that the FED sees “payment stablecoins as a form of money and argued that “in all advanced economies, the ultimate source of credibility in money is the central bank.” Powell called for the FED to play a huge role in regulating stablecoins. He added that “it would be appropriate to have quite a robust federal role.”
The 70-year-old Powell further claimed that “allowing a lot of private money creation at the state level would be a mistake.” Interestingly, Powell’s comment on the draft bill saw him take a stance opposed to that of Securities and Exchange Commission (SEC) Chair Gary Gensler. The controversial SEK Der Vorsitzende ist der Ansicht, dass alle Formen von Stablecoins registriert und reguliert werden sollten.
Powell, like most officials, believed the crypto market had suffered an irreparable loss last year following the decline of top organizations like FTX and Terra. However, the FED chair admitted today that the market “appears to have some staying power.”
Powell stellte auch klar, dass die Zentralbank im Gegensatz zu jüngsten Berichten noch weit von der Einrichtung eines CBDC entfernt sei. Er behauptete auch, dass die Zentralbank keine Pläne habe, Privatkundenkonten zu verwalten, falls die FED einen digitalen Dollar einführen würde.